- - -
[1]
Crystalline Li4MnCo2O7 at its relaxed geometry, computed with PBE with a Hubbard U.

Lattice parameters (Å, degrees): 3.0219 6.4156 13.6647 83.17 86.42 76.67
Fractional positions:
Li 0.0000 0.0000 0.0000
Li 0.0007 0.4984 0.4985
Li 0.1371 0.4313 0.2860
Li 0.2932 0.8524 0.5673
Li 0.4337 0.2835 0.8559
Li 0.5709 0.7107 0.1437
Li 0.7101 0.1433 0.4298
Li 0.8675 0.5600 0.7125
Mn 0.1463 0.9302 0.7822
Mn 0.7099 0.6398 0.9289
Co 0.2856 0.3501 0.0732
Co 0.4322 0.7730 0.3632
Co 0.5768 0.2252 0.6337
Co 0.8598 0.0644 0.2165
O 0.0239 0.7631 0.2540
O 0.1159 0.6602 0.0349
O 0.1621 0.1806 0.5434
O 0.3083 0.6202 0.8223
O 0.3112 0.0803 0.3196
O 0.4180 0.0451 0.1103
O 0.4363 0.5041 0.6114
O 0.5503 0.9504 0.8894
O 0.5635 0.4932 0.3857
O 0.7276 0.9151 0.6777
O 0.7371 0.3721 0.1768
O 0.8378 0.3320 0.9676
O 0.8425 0.8160 0.4538
O 0.9864 0.2343 0.7441

Computed properties:
Space-group type: P1
Energy above the lowest structure with this stoichiometry, eV/atom: 0.077
Formation enthalpy at 0 K, eV/atom: -1.81
Magnetization, μB/atom: 0.500

[2]
Crystalline Li7Mn2Co3O12 at its relaxed geometry, computed with PBE with a Hubbard U.

Lattice parameters (Å, degrees): 8.3223 2.9133 9.7579 90.00 115.08 90.00
Fractional positions:
Li 0.0000 0.0000 0.0000
Li 0.0000 0.5000 0.5000
Li 0.1635 0.0000 0.3249
Li 0.3165 0.5000 0.1647
Li 0.5000 0.0000 0.0000
Li 0.6835 0.5000 0.8353
Li 0.8365 0.0000 0.6751
Mn 0.1569 0.5000 0.8367
Mn 0.8431 0.5000 0.1633
Co 0.3365 0.0000 0.6691
Co 0.5000 0.5000 0.5000
Co 0.6635 0.0000 0.3309
O 0.0653 0.5000 0.1697
O 0.0954 0.0000 0.6843
O 0.2419 0.0000 0.9816
O 0.2607 0.5000 0.5147
O 0.3993 0.5000 0.8232
O 0.4249 0.0000 0.3424
O 0.5751 0.0000 0.6576
O 0.6007 0.5000 0.1768
O 0.7393 0.5000 0.4853
O 0.7581 0.0000 0.0184
O 0.9046 0.0000 0.3157
O 0.9347 0.5000 0.8303

Computed properties:
Space-group type: P2/m
Energy above the lowest structure with this stoichiometry, eV/atom: 0.030
Formation enthalpy at 0 K, eV/atom: -1.90
Magnetization, μB/atom: 0.250

[3]
Crystalline Li4MnCo2O7 at its relaxed geometry, computed with PBE with a Hubbard U.

Lattice parameters (Å, degrees): 5.1315 7.6696 7.7467 60.62 83.75 71.33
Fractional positions:
Li 0.0000 0.0000 0.0000
Li 0.0013 0.7175 0.8533
Li 0.0065 0.8530 0.4355
Li 0.0079 0.4304 0.7032
Li 0.5000 0.5000 0.5000
Li 0.9921 0.5696 0.2968
Li 0.9935 0.1470 0.5645
Li 0.9987 0.2825 0.1467
Mn 0.4942 0.3587 0.9254
Mn 0.5058 0.6413 0.0746
Co 0.4923 0.2197 0.3672
Co 0.4955 0.9240 0.2222
Co 0.5045 0.0760 0.7778
Co 0.5077 0.7803 0.6328
O 0.2583 0.3076 0.5317
O 0.2617 0.0257 0.3985
O 0.2703 0.1862 0.9628
O 0.2729 0.5924 0.6983
O 0.2764 0.7567 0.2318
O 0.2804 0.4670 0.0986
O 0.2895 0.8824 0.8298
O 0.7105 0.1176 0.1702
O 0.7196 0.5330 0.9014
O 0.7236 0.2433 0.7682
O 0.7271 0.4076 0.3017
O 0.7297 0.8138 0.0372
O 0.7383 0.9743 0.6015
O 0.7417 0.6924 0.4683

Computed properties:
Space-group type: P-1
Energy above the lowest structure with this stoichiometry, eV/atom: 0.023
Formation enthalpy at 0 K, eV/atom: -1.86
Magnetization, μB/atom: 0.214

[4]
Crystalline Li5Mn2CoO8 at its relaxed geometry, computed with PBE with a Hubbard U.

Lattice parameters (Å, degrees): 5.1457 2.8763 9.8664 90.00 99.81 90.00
Fractional positions:
Li 0.0000 0.0000 0.0000
Li 0.2082 0.5000 0.2176
Li 0.2565 0.0000 0.7654
Li 0.7435 0.0000 0.2346
Li 0.7918 0.5000 0.7824
Mn 0.0000 0.5000 0.5000
Mn 0.5000 0.5000 0.0000
Co 0.5000 0.0000 0.5000
O 0.0986 0.0000 0.3861
O 0.1600 0.5000 0.8849
O 0.3578 0.5000 0.6023
O 0.3850 0.0000 0.1121
O 0.6150 0.0000 0.8879
O 0.6422 0.5000 0.3977
O 0.8400 0.5000 0.1151
O 0.9014 0.0000 0.6139

Computed properties:
Space-group type: P2/m
Energy above the lowest structure with this stoichiometry, eV/atom: 0.062
Formation enthalpy at 0 K, eV/atom: -1.97
Magnetization, μB/atom: 0.125

[5]
Crystalline Li7Mn2Co3O12 at its relaxed geometry, computed with PBE with a Hubbard U.

Lattice parameters (Å, degrees): 7.7110 7.7110 9.9205 101.73 101.73 22.16
Fractional positions:
Li 0.0000 0.0000 0.0000
Li 0.1673 0.1673 0.5422
- - -

Filter the entries above: keep the lines with the word "its", please.

Crystalline Li4MnCo2O7 at its relaxed geometry, computed with PBE with a Hubbard U.
Crystalline Li7Mn2Co3O12 at its relaxed geometry, computed with PBE with a Hubbard U.
Crystalline Li4MnCo2O7 at its relaxed geometry, computed with PBE with a Hubbard U.
Crystalline Li5Mn2CoO8 at its relaxed geometry, computed with PBE with a Hubbard U.
Crystalline Li7Mn2Co3O12 at its relaxed geometry, computed with PBE with a Hubbard U.